File:
/*
Molecular formula: C69H75F2N9O33S3
Method: DFT, ωB97M-V/def2-TZVPD

Calculated values
Total charge ... 0
Largest force on an atom ... 4.58 eV Å⁻¹
HOMO-LUMO gap ... 0.32014 Ha

Atoms and positions in Å:
1 S -17.632935 28.456240 -18.793377
2 S -15.693820 25.666579 -29.709960
3 S -1.971237 22.901926 -19.178442
4 F -12.246878 11.750958 -20.927510
5 F -21.901839 21.553665 -17.090343
6 O -7.554325 15.676924 -7.737293
7 O -14.344007 12.512838 -21.486901
8 O -5.051431 13.315893 -16.937948
9 O -18.307423 29.366565 -19.702812
10 O -15.370023 14.526003 -20.903210
11 O -15.690396 8.896872 -14.964468
12 O -21.681223 18.548890 -17.464303
13 O -14.411821 25.353701 -30.405688
14 O -22.072594 17.849217 -15.339657
15 O -22.672545 17.421023 -6.165171
16 O -8.290986 17.707824 -7.693272
17 O -2.122313 21.507713 -19.582850
18 O -14.834081 19.878431 -16.919533
19 O -5.870151 18.954006 -23.703797
20 O -9.710426 27.424799 -13.564939
21 O -3.584280 26.503788 -28.084678
22 O -3.072307 23.724165 -18.585776
23 O -6.528213 16.962053 -23.468179
24 O -16.532784 27.500687 -19.577897
25 O -13.211213 14.403766 -21.498348
26 O -21.203384 19.918862 -15.818762
27 O -14.010611 20.903992 -15.244872
28 O -1.342243 18.418426 -10.091026
29 O -5.206942 25.167109 -28.533564
30 O -8.052917 26.969549 -14.877004
31 O -3.138803 19.503220 -9.349609
32 O -17.120793 28.921887 -17.481950
33 O -21.048376 16.218346 -5.476418
34 O -0.539983 23.030265 -18.243679
35 O -6.110935 11.433464 -16.185971
36 O -16.987980 25.170537 -30.307135
37 O -15.609908 25.197380 -28.154572
38 O -16.421140 9.588896 -16.941413
39 N -13.950396 20.610160 -16.453423
40 N -16.266268 9.717593 -15.703555
41 N -2.500478 18.853567 -10.217524
42 N -6.069292 12.567652 -16.678606
43 N -8.307710 16.569173 -8.120429
44 N -21.511004 17.045793 -6.281832
45 N -8.583718 26.968834 -13.743848
46 N -4.657430 25.956435 -27.824914
47 N -5.649365 17.761553 -23.740754
48 C -20.972124 19.687868 -18.021770
49 C -11.319573 15.741231 -11.085085
50 C -14.292528 25.102810 -27.617021
51 C -5.313027 26.149612 -26.465748
52 C -20.410913 18.899841 -9.323115
53 C -6.098333 25.225142 -11.536399
54 C -15.317529 27.246485 -18.836892
55 C -12.452302 13.560635 -22.268061
56 C -6.860389 25.052387 -10.412931
57 C -3.369559 18.089060 -24.731782
58 C 1.368558 24.002571 -17.266936
59 C -11.331303 17.020459 -10.437395
60 C -16.415829 11.412655 -13.854157
61 C -18.726853 27.089273 -18.425245
62 C -6.574775 25.607322 -26.234937
63 C -5.296651 27.062906 -24.278401
64 C -4.124517 15.903489 -24.050581
65 C -9.481112 14.996574 -9.823375
66 C -8.587730 15.256957 -17.681762
67 C -4.937601 19.211119 -13.055588
68 C -13.049687 12.203035 -21.917558
69 C -19.042127 18.609959 -9.385940
70 C -2.270443 18.376033 -12.639566
71 C -9.804714 13.411217 -16.602833
72 C -6.527659 26.385846 -23.977554
73 C -9.780705 14.671769 -17.203557
74 C -2.874793 15.306589 -24.359806
75 C -7.400131 14.545999 -17.551718
76 C -14.432345 13.875960 -21.331561
77 C 0.000035 24.304963 -17.919409
78 C -9.399961 16.205124 -9.134928
79 C -4.323918 17.268929 -24.136811
80 C -20.605319 17.556976 -7.398489
81 C -8.575491 12.812438 -16.383291
82 C -7.374455 13.279321 -16.905849
83 C -21.206240 18.376697 -8.401437
84 C -19.230826 17.212310 -7.461817
85 C -17.215845 12.060968 -15.967762
86 C -2.844003 18.461519 -13.979899
87 C -4.129511 18.845522 -14.162644
88 C -21.730680 18.709888 -16.151247
89 C -18.468464 17.801338 -8.409908
90 C -14.441890 26.462055 -19.757952
91 C -2.134033 17.527313 -25.085994
92 C -4.365022 19.151262 -11.746572
93 C -16.662254 11.085924 -15.179563
94 C -12.755384 21.002435 -17.238337
95 C -15.802096 27.412357 -29.435951
96 C -1.328264 23.674666 -20.796537
97 C -6.584065 25.936078 -12.655578
98 C -20.936757 20.689978 -16.961802
99 C -4.622319 26.960066 -25.520870
100 C -7.177985 25.677133 -24.974169
101 C -7.940375 26.353317 -12.596454
102 C -10.409762 14.729842 -10.824674
103 C -8.171387 25.524992 -10.358448
104 C -16.859302 12.555637 -13.265834
*/

Brief:
What is needed: say how many lines of the calculation results further above hold the word "gap", as a bare number.

Here it is:
1